Find the line underneath that holds "0.0000 0.3971", then write out that line and all lines after it there.

/*
Structure and simulated powder XRD pattern of Tm3Zr2Pb3 (a DFT-relaxed cell (PBE, Alexandria); Cu Kα X-rays).

Structural model:
```
Tm3Zr2Pb3
1.0
8.8715 0.0000 0.0000
-4.4358 7.6830 0.0000
0.0000 0.0000 6.1320
Tm Zr Pb
6 4 6
direct
0.0000 0.2386 0.2500
0.0000 0.7614 0.7500
0.2386 0.0000 0.2500
0.2386 0.2386 0.7500
0.7614 0.0000 0.7500
0.7614 0.7614 0.2500
0.3333 0.6667 0.0000
0.3333 0.6667 0.5000
0.6667 0.3333 0.0000
0.6667 0.3333 0.5000
0.0000 0.3971 0.7500
0.0000 0.6029 0.2500
0.3971 0.0000 0.7500
0.3971 0.3971 0.2500
0.6029 0.0000 0.2500
0.6029 0.6029 0.7500
```

Main lines, by angle (2θ from 10° to 80°):
20.02 deg, I = 12; 29.13 deg, I = 28; 30.79 deg, I = 17; 34.16 deg, I = 100; 35.04 deg, I = 25; 35.60 deg, I = 42; 43.39 deg, I = 10; 45.04 deg, I = 17; 54.93 deg, I = 26; 68.28 deg, I = 18

***

Structure and simulated powder XRD pattern of TmZrPb2 (a DFT-relaxed cell (PBE, Alexandria); Cu Kα X-rays).

Structural model:
```
TmZrPb2
1.0
4.8049 0.0000 0.0000
0.0000 4.8049 0.0000
0.0000 0.0000 4.4085
Tm Zr Pb
1 1 2
direct
0.0000 0.0000 0.0000
0.5000 0.5000 0.0000
0.0000 0.5000 0.5000
0.5000 0.0000 0.5000
```

Main lines, by angle (2θ from 10° to 80°):
26.23 deg, I = 4; 33.29 deg, I = 100; 37.43 deg, I = 37; 40.94 deg, I = 14; 53.98 deg, I = 13; 56.67 deg, I = 22; 64.91 deg, I = 30; 69.72 deg, I = 12; 69.91 deg, I = 12; 79.85 deg, I = 4

***

Structure and simulated powder XRD pattern of U8Pb3 (a DFT-relaxed cell (PBE, Alexandria); Cu Kα X-rays).

Structural model:
```
U8Pb3
1.0
6.0397 0.0000 0.0000
0.0000 8.9523 0.0000
0.0000 0.0000 9.7642
U Pb
16 6
direct
0.0000 0.0327 0.1470
0.0000 0.2005 0.6574
0.0000 0.4572 0.5524
0.0000 0.6719 0.0000
0.2314 0.4480 0.2627
0.2465 0.1018 0.4617
0.2535 0.8982 0.9617
0.2686 0.5520 0.7627
0.5000 0.3281 0.5000
0.5000 0.5428 0.0524
0.5000 0.7995 0.1574
0.5000 0.9673 0.6470
0.7314 0.5520 0.7627
0.7465 0.8982 0.9617
0.7535 0.1018 0.4617
0.7686 0.4480 0.2627
0.0000 0.3204 0.9726
0.0000 0.7629 0.3386
0.0000 0.8423 0.6697
0.5000 0.1577 0.1697
0.5000 0.2371 0.8386
0.5000 0.6796 0.4726
```

Main lines, by angle (2θ from 10° to 80°):
31.22 deg, I = 25; 31.34 deg, I = 45; 34.06 deg, I = 26; 34.77 deg, I = 67; 34.94 deg, I = 22; 36.39 deg, I = 100; 37.07 deg, I = 28; 37.26 deg, I = 55; 38.22 deg, I = 32; 64.88 deg, I = 21
*/

0.0000 0.3971 0.7500
0.0000 0.6029 0.2500
0.3971 0.0000 0.7500
0.3971 0.3971 0.2500
0.6029 0.0000 0.2500
0.6029 0.6029 0.7500
```

Main lines, by angle (2θ from 10° to 80°):
20.02 deg, I = 12; 29.13 deg, I = 28; 30.79 deg, I = 17; 34.16 deg, I = 100; 35.04 deg, I = 25; 35.60 deg, I = 42; 43.39 deg, I = 10; 45.04 deg, I = 17; 54.93 deg, I = 26; 68.28 deg, I = 18

***

Structure and simulated powder XRD pattern of TmZrPb2 (a DFT-relaxed cell (PBE, Alexandria); Cu Kα X-rays).

Structural model:
```
TmZrPb2
1.0
4.8049 0.0000 0.0000
0.0000 4.8049 0.0000
0.0000 0.0000 4.4085
Tm Zr Pb
1 1 2
direct
0.0000 0.0000 0.0000
0.5000 0.5000 0.0000
0.0000 0.5000 0.5000
0.5000 0.0000 0.5000
```

Main lines, by angle (2θ from 10° to 80°):
26.23 deg, I = 4; 33.29 deg, I = 100; 37.43 deg, I = 37; 40.94 deg, I = 14; 53.98 deg, I = 13; 56.67 deg, I = 22; 64.91 deg, I = 30; 69.72 deg, I = 12; 69.91 deg, I = 12; 79.85 deg, I = 4

***

Structure and simulated powder XRD pattern of U8Pb3 (a DFT-relaxed cell (PBE, Alexandria); Cu Kα X-rays).

Structural model:
```
U8Pb3
1.0
6.0397 0.0000 0.0000
0.0000 8.9523 0.0000
0.0000 0.0000 9.7642
U Pb
16 6
direct
0.0000 0.0327 0.1470
0.0000 0.2005 0.6574
0.0000 0.4572 0.5524
0.0000 0.6719 0.0000
0.2314 0.4480 0.2627
0.2465 0.1018 0.4617
0.2535 0.8982 0.9617
0.2686 0.5520 0.7627
0.5000 0.3281 0.5000
0.5000 0.5428 0.0524
0.5000 0.7995 0.1574
0.5000 0.9673 0.6470
0.7314 0.5520 0.7627
0.7465 0.8982 0.9617
0.7535 0.1018 0.4617
0.7686 0.4480 0.2627
0.0000 0.3204 0.9726
0.0000 0.7629 0.3386
0.0000 0.8423 0.6697
0.5000 0.1577 0.1697
0.5000 0.2371 0.8386
0.5000 0.6796 0.4726
```

Main lines, by angle (2θ from 10° to 80°):
31.22 deg, I = 25; 31.34 deg, I = 45; 34.06 deg, I = 26; 34.77 deg, I = 67; 34.94 deg, I = 22; 36.39 deg, I = 100; 37.07 deg, I = 28; 37.26 deg, I = 55; 38.22 deg, I = 32; 64.88 deg, I = 21